• Request:
Reproduce the lines below unchanged.
• Data:
<<<
1.
TiPb7N6: theoretical PXRD pattern (copper Kα), based on a crystal structure in the Materials Project, relaxed with PBE.
Lines closer than 0.1° are merged.

Peak list (8 most intense, 2θ from 10° to 90°, low angle first)
- 19.52 deg, rel. 20.4
- 27.78 deg, rel. 66.4
- 27.99 deg, rel. 34.3
- 28.83 deg, rel. 50.7
- 30.90 deg, rel. 100.0
- 31.30 deg, rel. 18.8
- 35.05 deg, rel. 35.6
- 51.11 deg, rel. 19.9

Structure:
a = 12.8433 Å, b = 7.3313 Å, c = 12.9686 Å
α = 90.00°, β = 90.00°, γ = 90.00°
Fractional coordinates of all 56 atoms:
Ti: 0.0000 0.1647 0.2500
Ti: 0.0000 0.8353 0.7500
Ti: 0.5000 0.3353 0.7500
Ti: 0.5000 0.6647 0.2500
Pb: 0.0000 0.4315 0.7500
Pb: 0.0000 0.5685 0.2500
Pb: 0.0050 0.2314 0.5254
Pb: 0.0050 0.7686 0.0254
Pb: 0.2085 0.1777 0.1251
Pb: 0.2085 0.8223 0.6251
Pb: 0.2420 0.0277 0.8635
Pb: 0.2420 0.9723 0.3635
Pb: 0.2580 0.4723 0.3635
Pb: 0.2580 0.5277 0.8635
Pb: 0.2915 0.3223 0.6251
Pb: 0.2915 0.6777 0.1251
Pb: 0.4950 0.2686 0.0254
Pb: 0.4950 0.7314 0.5254
Pb: 0.5000 0.0685 0.2500
Pb: 0.5000 0.9315 0.7500
Pb: 0.5050 0.2686 0.4746
Pb: 0.5050 0.7314 0.9746
Pb: 0.7085 0.3223 0.8749
Pb: 0.7085 0.6777 0.3749
Pb: 0.7420 0.4723 0.1365
Pb: 0.7420 0.5277 0.6365
Pb: 0.7580 0.0277 0.6365
Pb: 0.7580 0.9723 0.1365
Pb: 0.7915 0.1777 0.3749
Pb: 0.7915 0.8223 0.8749
Pb: 0.9950 0.2314 0.9746
Pb: 0.9950 0.7686 0.4746
N: 0.0364 0.0447 0.1192
N: 0.0364 0.9553 0.6192
N: 0.1133 0.3328 0.2713
N: 0.1133 0.6672 0.7713
N: 0.1750 0.2875 0.9619
N: 0.1750 0.7125 0.4619
N: 0.3250 0.2125 0.4619
N: 0.3250 0.7875 0.9619
N: 0.3867 0.1672 0.7713
N: 0.3867 0.8328 0.2713
N: 0.4636 0.4553 0.6192
N: 0.4636 0.5447 0.1192
N: 0.5364 0.4553 0.8808
N: 0.5364 0.5447 0.3808
N: 0.6133 0.1672 0.7287
N: 0.6133 0.8328 0.2287
N: 0.6750 0.2125 0.0381
N: 0.6750 0.7875 0.5381
N: 0.8250 0.2875 0.5381
N: 0.8250 0.7125 0.0381
N: 0.8867 0.3328 0.2287
N: 0.8867 0.6672 0.7287
N: 0.9636 0.0447 0.3808
N: 0.9636 0.9553 0.8808

***

2.
V2Pb3N4: theoretical PXRD pattern (copper Kα), based on a crystal structure in the Materials Project, relaxed with PBE.
Lines closer than 0.1° are merged.

Peak list (8 most intense, 2θ from 10° to 90°, low angle first)
- 15.80 deg, rel. 48.8
- 26.70 deg, rel. 56.8
- 27.18 deg, rel. 61.0
- 29.14 deg, rel. 86.8
- 33.94 deg, rel. 100.0
- 38.47 deg, rel. 39.8
- 51.95 deg, rel. 21.5
- 58.91 deg, rel. 18.6

Structure:
a = 6.6767 Å, b = 10.3772 Å, c = 10.3471 Å
α = 90.00°, β = 90.00°, γ = 90.00°
Fractional coordinates of all 36 atoms:
V: 0.2142 0.2500 0.2500
V: 0.2500 0.0000 0.2422
V: 0.2500 0.5000 0.2578
V: 0.2858 0.7500 0.2500
V: 0.7142 0.2500 0.7500
V: 0.7500 0.0000 0.7578
V: 0.7500 0.5000 0.7422
V: 0.7858 0.7500 0.7500
Pb: 0.2040 0.1626 0.8922
Pb: 0.2040 0.3374 0.6078
Pb: 0.2500 0.0000 0.6079
Pb: 0.2500 0.5000 0.8921
Pb: 0.2960 0.6626 0.6078
Pb: 0.2960 0.8374 0.8922
Pb: 0.7040 0.1626 0.1078
Pb: 0.7040 0.3374 0.3922
Pb: 0.7500 0.0000 0.3921
Pb: 0.7500 0.5000 0.1079
Pb: 0.7960 0.6626 0.3922
Pb: 0.7960 0.8374 0.1078
N: 0.0931 0.1147 0.3327
N: 0.0931 0.3853 0.1673
N: 0.1477 0.6344 0.3556
N: 0.1477 0.8656 0.1444
N: 0.3523 0.1344 0.1444
N: 0.3523 0.3656 0.3556
N: 0.4069 0.6147 0.1673
N: 0.4069 0.8853 0.3327
N: 0.5931 0.1147 0.6673
N: 0.5931 0.3853 0.8327
N: 0.6477 0.6344 0.6444
N: 0.6477 0.8656 0.8556
N: 0.8523 0.1344 0.8556
N: 0.8523 0.3656 0.6444
N: 0.9069 0.6147 0.8327
N: 0.9069 0.8853 0.6673

***

3.
VPb2N3: theoretical PXRD pattern (copper Kα), based on a crystal structure in the Materials Project, relaxed with PBE.
Lines closer than 0.1° are merged.

Peak list (8 most intense, 2θ from 10° to 90°, low angle first)
- 22.29 deg, rel. 47.7
- 27.30 deg, rel. 27.8
- 28.03 deg, rel. 29.9
- 29.46 deg, rel. 39.1
- 31.07 deg, rel. 57.9
- 31.93 deg, rel. 100.0
- 33.14 deg, rel. 24.8
- 42.33 deg, rel. 23.7

Structure:
a = 6.2721 Å, b = 6.2721 Å, c = 12.7352 Å
α = 90.00°, β = 90.00°, γ = 125.36°
Fractional coordinates of all 24 atoms:
V: 0.2442 0.7558 0.8368
V: 0.2558 0.7442 0.3368
V: 0.7442 0.2558 0.6632
V: 0.7558 0.2442 0.1632
Pb: 0.0665 0.9335 0.6259
>>>
• Here it is:
1.
TiPb7N6: theoretical PXRD pattern (copper Kα), based on a crystal structure in the Materials Project, relaxed with PBE.
Lines closer than 0.1° are merged.

Peak list (8 most intense, 2θ from 10° to 90°, low angle first)
- 19.52 deg, rel. 20.4
- 27.78 deg, rel. 66.4
- 27.99 deg, rel. 34.3
- 28.83 deg, rel. 50.7
- 30.90 deg, rel. 100.0
- 31.30 deg, rel. 18.8
- 35.05 deg, rel. 35.6
- 51.11 deg, rel. 19.9

Structure:
a = 12.8433 Å, b = 7.3313 Å, c = 12.9686 Å
α = 90.00°, β = 90.00°, γ = 90.00°
Fractional coordinates of all 56 atoms:
Ti: 0.0000 0.1647 0.2500
Ti: 0.0000 0.8353 0.7500
Ti: 0.5000 0.3353 0.7500
Ti: 0.5000 0.6647 0.2500
Pb: 0.0000 0.4315 0.7500
Pb: 0.0000 0.5685 0.2500
Pb: 0.0050 0.2314 0.5254
Pb: 0.0050 0.7686 0.0254
Pb: 0.2085 0.1777 0.1251
Pb: 0.2085 0.8223 0.6251
Pb: 0.2420 0.0277 0.8635
Pb: 0.2420 0.9723 0.3635
Pb: 0.2580 0.4723 0.3635
Pb: 0.2580 0.5277 0.8635
Pb: 0.2915 0.3223 0.6251
Pb: 0.2915 0.6777 0.1251
Pb: 0.4950 0.2686 0.0254
Pb: 0.4950 0.7314 0.5254
Pb: 0.5000 0.0685 0.2500
Pb: 0.5000 0.9315 0.7500
Pb: 0.5050 0.2686 0.4746
Pb: 0.5050 0.7314 0.9746
Pb: 0.7085 0.3223 0.8749
Pb: 0.7085 0.6777 0.3749
Pb: 0.7420 0.4723 0.1365
Pb: 0.7420 0.5277 0.6365
Pb: 0.7580 0.0277 0.6365
Pb: 0.7580 0.9723 0.1365
Pb: 0.7915 0.1777 0.3749
Pb: 0.7915 0.8223 0.8749
Pb: 0.9950 0.2314 0.9746
Pb: 0.9950 0.7686 0.4746
N: 0.0364 0.0447 0.1192
N: 0.0364 0.9553 0.6192
N: 0.1133 0.3328 0.2713
N: 0.1133 0.6672 0.7713
N: 0.1750 0.2875 0.9619
N: 0.1750 0.7125 0.4619
N: 0.3250 0.2125 0.4619
N: 0.3250 0.7875 0.9619
N: 0.3867 0.1672 0.7713
N: 0.3867 0.8328 0.2713
N: 0.4636 0.4553 0.6192
N: 0.4636 0.5447 0.1192
N: 0.5364 0.4553 0.8808
N: 0.5364 0.5447 0.3808
N: 0.6133 0.1672 0.7287
N: 0.6133 0.8328 0.2287
N: 0.6750 0.2125 0.0381
N: 0.6750 0.7875 0.5381
N: 0.8250 0.2875 0.5381
N: 0.8250 0.7125 0.0381
N: 0.8867 0.3328 0.2287
N: 0.8867 0.6672 0.7287
N: 0.9636 0.0447 0.3808
N: 0.9636 0.9553 0.8808

***

2.
V2Pb3N4: theoretical PXRD pattern (copper Kα), based on a crystal structure in the Materials Project, relaxed with PBE.
Lines closer than 0.1° are merged.

Peak list (8 most intense, 2θ from 10° to 90°, low angle first)
- 15.80 deg, rel. 48.8
- 26.70 deg, rel. 56.8
- 27.18 deg, rel. 61.0
- 29.14 deg, rel. 86.8
- 33.94 deg, rel. 100.0
- 38.47 deg, rel. 39.8
- 51.95 deg, rel. 21.5
- 58.91 deg, rel. 18.6

Structure:
a = 6.6767 Å, b = 10.3772 Å, c = 10.3471 Å
α = 90.00°, β = 90.00°, γ = 90.00°
Fractional coordinates of all 36 atoms:
V: 0.2142 0.2500 0.2500
V: 0.2500 0.0000 0.2422
V: 0.2500 0.5000 0.2578
V: 0.2858 0.7500 0.2500
V: 0.7142 0.2500 0.7500
V: 0.7500 0.0000 0.7578
V: 0.7500 0.5000 0.7422
V: 0.7858 0.7500 0.7500
Pb: 0.2040 0.1626 0.8922
Pb: 0.2040 0.3374 0.6078
Pb: 0.2500 0.0000 0.6079
Pb: 0.2500 0.5000 0.8921
Pb: 0.2960 0.6626 0.6078
Pb: 0.2960 0.8374 0.8922
Pb: 0.7040 0.1626 0.1078
Pb: 0.7040 0.3374 0.3922
Pb: 0.7500 0.0000 0.3921
Pb: 0.7500 0.5000 0.1079
Pb: 0.7960 0.6626 0.3922
Pb: 0.7960 0.8374 0.1078
N: 0.0931 0.1147 0.3327
N: 0.0931 0.3853 0.1673
N: 0.1477 0.6344 0.3556
N: 0.1477 0.8656 0.1444
N: 0.3523 0.1344 0.1444
N: 0.3523 0.3656 0.3556
N: 0.4069 0.6147 0.1673
N: 0.4069 0.8853 0.3327
N: 0.5931 0.1147 0.6673
N: 0.5931 0.3853 0.8327
N: 0.6477 0.6344 0.6444
N: 0.6477 0.8656 0.8556
N: 0.8523 0.1344 0.8556
N: 0.8523 0.3656 0.6444
N: 0.9069 0.6147 0.8327
N: 0.9069 0.8853 0.6673

***

3.
VPb2N3: theoretical PXRD pattern (copper Kα), based on a crystal structure in the Materials Project, relaxed with PBE.
Lines closer than 0.1° are merged.

Peak list (8 most intense, 2θ from 10° to 90°, low angle first)
- 22.29 deg, rel. 47.7
- 27.30 deg, rel. 27.8
- 28.03 deg, rel. 29.9
- 29.46 deg, rel. 39.1
- 31.07 deg, rel. 57.9
- 31.93 deg, rel. 100.0
- 33.14 deg, rel. 24.8
- 42.33 deg, rel. 23.7

Structure:
a = 6.2721 Å, b = 6.2721 Å, c = 12.7352 Å
α = 90.00°, β = 90.00°, γ = 125.36°
Fractional coordinates of all 24 atoms:
V: 0.2442 0.7558 0.8368
V: 0.2558 0.7442 0.3368
V: 0.7442 0.2558 0.6632
V: 0.7558 0.2442 0.1632
Pb: 0.0665 0.9335 0.6259